There are various medical conditions that can lead to the prolapse of the airways. One such condition, in which the upper airway is obstructed, is known as Arytenoid prolapse. This condition is often preceded by laryngotracheoplasty.
What is Arytenoid Prolapse?
The word prolapse means shifting of a part or organ from its actual position. Arytenoid prolapse is a medical condition wherein the arytenoid cartilage near the larynx shifts from its usual position causing airway obstruction. Arytenoid cartilage is a three-sided, small pyramid shaped structure on the larynx. The vocal chords are attached to the arytenoids which help in the movement of the vocal chords. It helps the vocal chords to relax, tense and approximated. At times, this arytenoid cartilage might shift from its position leading to arytenoid prolapse. The prolapse of the arytenoid cartilage might obstruct the airway giving rise to breathing difficulty.
Types of Arytenoid Prolapse
Arytenoid prolapse is sub-classified into three types. These are –
- Type 1 or Antero-medial Arytenoid Prolapse: When the arytenoid cartilage collapses over the laryngeal inlet, it is categorized into this type.
- Type 2 or Antero-posterior Arytenoid Prolapse: In this type, the aryepiglottic folds become significantly and abnormally short. This reduces the antero-posterior dimension. Thus, the airway is obstructed.
- Type 3 Arytenoid Prolapse: During inspiratory aerodynamics, the laryngeal lumen is significantly narrowed down in this type of arytenoid prolapse. Therefore, an abnormal posterior deflection of the epiglottis takes place.
Symptoms of Arytenoid Prolapse
**Records of molecules, kept here for reference:**
____________
# 1
Here is a cluster of 13 separate species, C63H162N10O23 in total in a non-equilibrium geometry from the OMol25 dataset. Energies are from ωB97M-V/def2-TZVPD.

Last column: Mulliken charge in e.
Element x y z (Å)
1 O -0.64 3.50 -7.03  -0.6295
2 O -3.41 -6.78 -0.49  -0.2245
3 O 6.17 -4.11 -4.55  -0.1488
4 O -2.67 1.72 -5.87  -0.4691
5 O 9.32 4.38 -1.07  -0.3013
6 O -5.20 -4.62 -5.92  -0.2153
7 O 2.10 4.72 4.40  -0.3863
8 O -4.16 -1.77 -2.73  -0.5768
9 O 2.11 -0.88 0.87  0.7035
10 O -2.63 3.64 0.85  0.1119
11 O -2.35 -1.73 1.37  0.1911
12 O -0.30 7.89 6.41  -0.3249
13 O -1.63 1.34 4.69  -0.5159
14 O 0.06 -5.44 2.19  -0.1582
15 O -5.94 -0.08 -0.03  -0.1648
16 O -2.44 5.87 -3.65  -0.3301
17 O 2.86 1.57 -4.83  0.0075
18 O 0.76 -1.80 6.73  -0.4626
19 O -0.37 1.68 -1.98  0.7118
20 O 3.83 -1.56 -1.44  0.6825
21 O -2.76 -2.43 10.45  -0.2956
22 O 1.18 -5.23 -3.85  -0.4894
23 O 3.19 3.10 0.49  0.6364
24 N 2.74 -3.71 0.37  -0.3845
25 N -0.37 -1.25 9.62  -0.2975
26 N -3.99 -4.65 -3.40  -0.0447
27 N -4.01 4.78 -1.58  -0.0625
28 N 4.54 -1.18 -6.26  -0.3997
29 N -0.01 6.44 3.80  0.0210
30 N 6.63 4.26 0.21  -0.1368
31 N -1.55 -6.55 -2.90  -0.0544
32 N 0.90 -1.21 -1.95  1.4745
33 N -4.29 -0.49 3.14  -0.2454
34 C 3.96 0.79 -5.10  -0.2903
35 C -5.38 -4.84 -7.31  -0.8063
36 C -1.81 -7.74 -2.07  -1.0257
37 C 1.23 -4.63 2.01  -0.5674
38 C 2.88 3.57 4.35  -0.6716
39 C -2.01 5.51 -4.90  -0.4021
40 C -0.27 -5.76 3.53  -0.8638
41 C -0.07 -4.72 -3.38  -0.3785
42 C 9.00 4.90 0.24  -0.6088
43 C 2.70 -0.14 1.92  0.0592
44 C -3.86 -6.82 0.89  -0.7404
45 C -2.15 0.40 3.75  0.7111
46 C 4.79 -0.50 -1.32  -1.0216
47 C 2.03 5.33 3.11  0.1806
48 C 1.60 -4.60 0.54  0.6298
49 C 0.26 -0.55 7.28  0.2244
50 C -4.54 4.74 -0.22  -0.8565
51 C -3.83 6.02 -3.67  -0.4290
52 C -0.75 -2.61 9.24  -0.4320
53 C -1.62 -3.26 10.29  -0.6674
54 C -4.25 -4.03 -2.10  -0.6898
55 C 0.24 -1.15 -0.65  -0.3578
56 C 6.05 -3.16 -5.64  -0.9565
57 C 3.19 2.65 -3.97  -0.4221
58 C -4.85 0.14 1.97  -0.0078
59 C -4.01 3.52 0.53  -0.4452
60 C 0.54 -0.56 8.77  -1.3938
61 C -2.44 4.25 2.13  -0.1630
62 C 0.86 -0.33 0.49  0.5405
63 C 1.96 3.33 -0.20  -0.6008
64 C -3.66 -3.02 11.36  -0.7531
65 C -3.61 0.28 4.11  -1.3315
66 C 7.90 4.06 0.88  -0.6995
67 C -4.32 6.08 -2.19  -0.8714
68 C -3.70 -0.49 -2.45  0.3054
69 C -6.78 -0.74 -0.95  -0.7792
70 C -2.18 -7.45 -0.65  -0.2144
71 C 5.51 3.47 0.72  -0.4815
72 C 10.25 5.25 -1.67  -0.7382
73 C -1.56 8.03 7.03  -0.6686
74 C 6.97 -5.25 -4.88  -0.8551
75 C -1.99 -3.09 1.56  -0.4387
76 C 0.03 0.81 -2.99  -0.8469
77 C 4.25 3.86 -0.08  -0.3096
78 C -4.95 -5.64 -3.77  -0.5963
79 C 1.30 0.06 -2.57  0.8915
80 C -1.43 2.52 -2.40  0.3244
81 C -0.77 7.69 4.00  -0.8557
82 C -3.54 -2.69 -1.88  1.0301
83 C -4.89 -5.87 -5.26  -0.7219
84 C -3.88 2.12 -5.32  -0.3449
85 C 1.09 -1.66 5.35  -0.2768
86 C 3.43 -0.35 -5.87  -0.4066
87 C 0.52 3.31 -6.27  -0.2664
88 C 1.82 -4.33 -4.77  -0.2778
89 C -5.81 -0.75 1.21  -0.4672
90 C 4.98 -2.11 -5.20  0.6821
91 C -0.35 1.82 4.28  0.0650
____________
**Back to the article:**
The symptoms of Arytenoid prolapse include:
- Hoarse Voice
- Vocal Fatigue
## Calculated molecules that have nothing to do with the article
********
ORCA calculation (ωB97M-V/def2-TZVPD) on a 14-piece molecular cluster, C7H36O13 overall in a non-equilibrium geometry.

The geometry in ORCA input format:
```
! wB97M-V def2-TZVPD RIJCOSX def2/J DEFGRID3
* xyz 0 1
C 2.46 -0.36 0.85
C 1.75 0.90 1.21
C 2.55 1.81 1.77
C -0.32 0.38 -0.05
C 0.33 1.15 0.80
C -1.75 1.95 -1.25
C -1.54 0.67 -0.70
H 3.21 -0.69 1.67
H 1.96 -1.23 0.71
H 3.07 -0.26 0.00
H 2.30 2.87 1.84
H 3.55 1.68 2.13
H 0.27 -0.52 -0.27
H -0.25 1.98 1.17
H -2.57 2.27 -1.77
H -1.03 2.74 -1.06
H -2.37 -0.07 -0.57
H 1.42 2.46 -1.12
H 2.48 3.55 -0.74
O 1.47 3.32 -0.96
H -0.97 -1.61 2.35
H 0.30 -2.25 2.02
O -0.19 -1.78 2.77
H 3.41 -0.12 -2.48
H 3.52 1.14 -1.74
O 3.45 0.84 -2.61
H 0.01 -3.37 -1.82
H -1.14 -2.91 -1.11
O -0.22 -3.12 -0.93
H -2.69 -0.48 -2.47
H -1.69 0.37 -3.10
O -2.10 -0.54 -3.15
H -0.38 2.29 3.18
H -0.91 1.11 3.90
O -1.17 1.89 3.41
H 1.48 0.68 3.57
H 0.71 -0.66 3.90
O 0.80 0.29 4.17
H 1.70 -2.35 -1.07
H 1.41 -1.26 -1.98
O 2.10 -1.67 -1.49
H -2.17 -4.03 -0.34
H -2.91 -3.33 0.72
O -2.77 -3.28 -0.30
H 0.44 -1.89 -3.35
H -1.00 -1.86 -4.02
O -0.30 -2.48 -3.68
H -3.32 2.32 0.90
H -2.57 1.64 2.10
O -3.32 1.56 1.43
H 1.60 1.10 -2.72
H 0.10 1.82 -2.82
O 0.77 1.13 -3.14
H -2.89 -0.46 1.92
H -3.37 -1.95 2.22
O -2.67 -1.36 2.08
*
```

Properties
ΔE to the lowest compared entry with this formula, charge and spin, kJ/mol: 481.1
HOMO, eV: -9.17
Largest force on an atom, eV Å⁻¹: 8.2
LUMO energy, hartree: -0.00666
Calculated total energy, eV: -34456.6307

Results of the Löwdin charge analysis, in e, for atoms 1 through 8: C -0.068; C -0.331; C 0.021; C -0.124; C -0.059; C 0.027; C -0.154; H 0.137

----------

Record 1
11 unconnected molecules or ions with the total composition C44H121N11O11, computed with ωB97M-V with the def2-TZVPD basis set.

Geometry as XYZ:
```
187
Properties=species:S:1:pos:R:3
C -12.0162 21.5367 7.9019
O -10.8743 22.1705 7.3781
C -11.0177 22.6390 6.0776
C -9.7243 23.3468 5.7399
C -9.5253 24.6492 6.5591
N -9.6366 23.5943 4.3302
H -12.8359 22.2965 7.9354
H -11.7602 21.1515 8.8871
H -12.2869 20.6779 7.2705
H -11.2568 21.8716 5.3379
H -11.8254 23.3956 6.0013
H -8.9276 22.6410 6.0077
H -10.3752 25.3363 6.4208
H -8.6199 25.1561 6.2100
H -9.4196 24.4979 7.6716
H -10.3914 24.1861 4.0154
H -8.7991 24.1222 4.1653
C -19.9930 25.0876 6.9382
O -20.0250 25.4035 5.6000
C -19.0260 24.8723 4.8209
C -19.0292 25.4091 3.3848
C -18.8839 26.8914 3.4047
N -20.1350 24.8773 2.5550
H -20.8714 25.5239 7.3897
H -19.0827 25.4341 7.4208
H -19.9475 24.0246 7.1323
H -17.9923 25.0378 5.2402
H -19.1390 23.7840 4.7604
H -18.1766 24.9794 2.8664
H -18.9284 27.2747 2.3727
H -17.9423 27.1252 3.9217
H -19.7157 27.4112 3.9424
H -20.9838 25.2019 3.0407
H -20.0687 23.8757 2.6235
C -17.1827 17.1706 5.8290
O -15.8664 17.4598 6.2355
C -15.2609 18.4187 5.3909
C -13.7224 18.2999 5.5445
C -12.9731 19.4798 4.8953
N -13.3513 17.0070 5.0329
H -17.5736 16.3847 6.4915
H -17.2443 16.7491 4.7910
H -17.8617 18.0561 5.9647
H -15.5294 18.3515 4.3305
H -15.5667 19.4169 5.7616
********
## Back to the article
- Breathy voice quality
- Inability to voice out.
The less common symptoms of Arytenoid prolapse might include sore throat, cough, dysphagia, and odynophagia. The physical sign might include decreased vocal fold mobility, arytenoid edema along with arytenoid symmetry loss, poor closure of glottis, misalignment of the vocal fold and posterior glottis chink are some of the physical signs noted during diagnostic examinations.
Arytenoid Prolapse in Children
Arytenoid prolapse is often reported to be occurring more in the children. Though it is quite a common occurrence or phenomenon that the upper airway will be obstructed more in children due to a general anaesthesia, why it leads to Arytenoid prolapse is not clear.
However, reports and research studies have shown that the paediatric patients are more susceptible to Arytenoid prolapse as they undergo halothane anaesthesia.
Causes of Arytenoid Prolapse
The doctors often consider the supraglottic tissue as responsible Arytenoid prolapse. The supraglottic tissues which are responsible for this condition are characteristically –
- Hypotense
- Floppy
- Hyperactive.
Apart from the supraglottic tissue, the conditions that are etiologically considered to be responsible for the Arytenoid prolapse are –
- Chronic use of inhaled steroids
- Vigorous exercise
- Neurodegenerative illnesses
- Asthmatic bronchospasms
- Cerebral vascular accident
- Traumatic brain injury
- Laryngeal trauma
- Connective tissue diseases
- Idiopathic laryngeal synkinesis.
However, none of these causes are considered to be the obvious causes in every case of Arytenoid prolapse.
How Does Arytenoid Prolapse Occur?
Laryngotracheoplasty is a condition in which the subglottis is obstructed and the airway is blocked. In such a condition, Arytenoid prolapse is a possible outcome. Though the condition is quite difficult to identify, it usually requires surgical intervention to treat Arytenoid prolapse.
In case of severe laryngotracheal stenosis, especially the ones that occur in the children, a recent treatment method that is widely being used is CTR or Cricotracheal Resection. Reports have been received that this condition too can lead to arytenoid prolapse.
Between two parts of the page: records of molecules:
┌──
Computed, not measured: a molecular structure, C17H19Br2FN3O3OsS, with ωB97M-V/def2-TZVPD.

Last column: Löwdin spin population.
Positions of all 47 atoms, in Å:
Os (2.4883, 0.4800, -0.8162)  2.344
Br (5.0029, 0.8008, -0.8295)  0.036
C (4.9130, 2.7624, -0.8958)  0.001
Br (3.0918, 3.2788, -1.2519)  0.122
H (5.5494, 3.0841, -1.7120)  0.001
H (5.2226, 3.1396, 0.0720)  0.001
C (-2.6759, -0.7282, 4.4261)  0.002
C (-3.2767, 0.1284, 3.3217)  0.007
C (-4.5803, -0.4433, 2.8041)  0.005
C (-5.1474, 0.4290, 1.6974)  0.025
C (-4.1619, 0.5931, 0.5950)  0.136
C (-4.5667, 0.8410, -0.6954)  -0.021
C (-3.6165, 0.9779, -1.6958)  0.152
F (-3.9900, 1.2169, -2.9146)  0.068
C (-2.2267, 0.8589, -1.4524)  0.182
C (-1.7865, 0.6160, -0.1709)  0.030
C (-0.3646, 0.5055, 0.1109)  0.042
O (0.4528, 0.5099, -0.8616)  0.093
C (0.0030, 0.4016, 1.4743)  0.046
C (-0.9775, 0.2889, 2.4151)  0.006
N (-2.3121, 0.2915, 2.1474)  0.117
C (-2.7385, 0.4893, 0.8829)  0.108
C (1.4177, 0.4119, 1.9914)  0.024
O (1.6555, 0.1864, 3.1351)  0.037
O (2.3603, 0.7386, 1.0967)  0.216
H (-3.4850, -1.0288, 5.0900)  0.000
H (-1.9508, -0.1959, 5.0387)  0.000
H (-2.2217, -1.6384, 4.0300)  0.000
H (-3.4455, 1.1459, 3.6869)  0.004
H (-5.2797, -0.4939, 3.6367)  0.000
H (-4.4238, -1.4665, 2.4507)  0.000
H (-5.3839, 1.4275, 2.0910)  0.012
H (-6.0812, 0.0333, 1.2986)  0.003
H (-5.6173, 0.9221, -0.9456)  -0.003
H (-1.5299, 0.9695, -2.2726)  0.006
H (-0.6827, 0.1846, 3.4493)  -0.001
C (5.8880, -2.5412, -3.4752)  0.001
N (4.6976, -1.9902, -2.8155)  0.005
C (3.6551, -1.5168, -3.4571)  0.027
N (3.6015, -1.5124, -4.7749)  0.008
S (2.2023, -0.9695, -2.6145)  0.153
H (6.6213, -2.7830, -2.7127)  0.000
H (6.3200, -1.8034, -4.1512)  0.000
H (5.6365, -3.4526, -4.0187)  0.000
H (4.6206, -2.0852, -1.8147)  0.000
H (4.3301, -1.9211, -5.3439)  0.001
H (2.7924, -1.1430, -5.2494)  0.002

Cartesian forces (eV/Å) of the 3 atoms listed first:
Os 0.05 -0.18 0.02
Br -0.19 0.00 -0.01
C -0.02 0.14 0.02

Summary:
**E_tot**: -6784.95514 a.u.
**Net charge**: +3
**Spin multiplicity**: 5
**Gap between HOMO and LUMO (spin up / spin down)**: 7.75 / 5.71 eV
**Largest force on an atom**: 0.190 eV/A

---

Computed, not measured: C4H5N5O4S in the gas phase in a non-equilibrium geometry, with ωB97M-V/def2-TZVPD.

Last column: Mulliken charge in e.
Positions of all 19 atoms, in Å:
N (-1.4479, -2.1749, 0.6061)  -0.422
C (-0.7652, -1.0669, 0.6622)  0.692
N (0.4684, -1.1089, 0.2777)  -0.657
C (1.0227, 0.0983, 0.1323)  0.808
C (0.4393, 1.3125, 0.0441)  0.095
N (1.3484, 2.2778, -0.1318)  -0.717
C (2.5601, 1.6895, -0.3066)  -0.341
N (2.3564, 0.3260, -0.0978)  0.279
O (3.3128, -0.7106, 0.0270)  -0.436
S (-1.3271, 1.3058, 0.1369)  0.804
O (-2.2366, 2.3251, 0.6731)  -0.587
N (-1.5466, 0.4409, -1.1328)  -0.300
O (-2.9105, 0.1236, -1.2199)  -0.410
O (-1.4586, -0.1066, 1.1992)  -0.500
H (-2.0468, -2.3258, 1.4905)  0.285
H (-1.0648, -2.9729, 0.0265)  0.236
H (3.5028, 2.1051, -0.5003)  0.427
H (2.8490, -1.5038, 0.2570)  0.373
H (-3.0559, -0.0339, -2.1433)  0.369
└──
Diagnosis and Treatment of Arytenoid Prolapse
Those, who are suspected to be suffering from arytenoid prolapse, are diagnosed with a video endoscopy. This is considered to be an excellent tool that would clearly show the obstruction of the airway passage.
As this condition is diagnosed, the doctors provide a continuous and positive pressure of the airway. This has been proven to be an excellent way to clear the blocked airway and the obstruction is effectively removed.
Arytenoid prolapse is a rare condition with an incidence of 80 reported cases till date. The major factor contributing to arytenoid prolapse is laryngotracheoplasty or any laryngeal instrumentation. However, the condition needs a detailed evaluation and research so that the exact causes that lead to arytenoid prolapse can be diagnosed, treated and prevented.